Coming up for air on the other side of a whirlwind month. Moves are intense! As soon as we got into our new home it felt like an immediate sigh of relief. We made it. I snapped some iphone photos before we hauled all of the boxes in, so sharing a tour of our new old home! As well as how we found it.

(Entry view)

**Misplaced data records**
-- begin --
Diffraction record for Ti4Fe2O. The X-ray powder pattern is calculated, not measured: it uses the PBE+U geometry in the Materials Project and Cu Kα (weighted mean of Kα1 and Kα2).

Structural model:
Cell: 8.032 8.032 8.032 Å, 60.00 60.00 60.00°
Element x y z (fractional)
Ti (0.000, 0.000, 0.000)
Ti (0.000, 0.000, 0.500)
Ti (0.000, 0.500, 0.000)
Ti (0.188, 0.188, 0.562)
Ti (0.188, 0.562, 0.188)
Ti (0.188, 0.562, 0.562)
Ti (0.438, 0.438, 0.812)
Ti (0.438, 0.812, 0.438)
Ti (0.438, 0.812, 0.812)
Ti (0.500, 0.000, 0.000)
Ti (0.562, 0.188, 0.188)
Ti (0.562, 0.188, 0.562)
Ti (0.562, 0.562, 0.188)
Ti (0.812, 0.438, 0.438)
Ti (0.812, 0.438, 0.812)
Ti (0.812, 0.812, 0.438)
Fe (0.133, 0.789, 0.789)
Fe (0.211, 0.211, 0.211)
Fe (0.211, 0.211, 0.867)
Fe (0.211, 0.867, 0.211)
Fe (0.789, 0.133, 0.789)
Fe (0.789, 0.789, 0.133)
Fe (0.789, 0.789, 0.789)
Fe (0.867, 0.211, 0.211)
O (0.000, 0.500, 0.500)
O (0.500, 0.000, 0.500)
O (0.500, 0.500, 0.000)
O (0.500, 0.500, 0.500)

Largest 10 diffraction maxima, low angle first, 10° ≤ 2θ ≤ 90°:
Position (°2θ), I_rel
13.50, 6
38.84, 29
41.30, 100
45.16, 29
48.06, 12
70.33, 27
72.00, 6
76.93, 6
84.96, 16
89.71, 6



Diffraction record for Mn7PbO12. The X-ray powder pattern is calculated, not measured: it uses the PBE+U geometry in the Materials Project and Cu Kα (weighted mean of Kα1 and Kα2).

Structural model:
Cell: 6.572 6.572 10.638 Å, 90.55 90.55 69.83°
Element x y z (fractional)
Mn (0.000, 0.000, 0.000)
Mn (0.000, 0.500, 0.000)
Mn (0.000, 0.500, 0.500)
Mn (0.250, 0.250, 0.250)
Mn (0.250, 0.250, 0.750)
Mn (0.250, 0.750, 0.250)
Mn (0.250, 0.750, 0.750)
Mn (0.500, 0.000, 0.000)
Mn (0.500, 0.000, 0.500)
Mn (0.500, 0.500, 0.500)
Mn (0.750, 0.250, 0.250)
Mn (0.750, 0.250, 0.750)
Mn (0.750, 0.750, 0.250)
Mn (0.750, 0.750, 0.750)
Pb (0.000, 0.000, 0.500)
Pb (0.500, 0.500, 0.000)
O (0.020, 0.657, 0.347)
O (0.067, 0.067, 0.251)
O (0.096, 0.724, 0.090)
O (0.157, 0.520, 0.846)
O (0.225, 0.598, 0.592)
O (0.248, 0.248, 0.434)
O (0.252, 0.252, 0.067)
O (0.276, 0.904, 0.910)
O (0.343, 0.980, 0.653)
O (0.402, 0.775, 0.408)
O (0.433, 0.433, 0.248)
O (0.480, 0.843, 0.154)
O (0.520, 0.157, 0.846)
O (0.567, 0.567, 0.752)
O (0.598, 0.225, 0.592)
O (0.657, 0.020, 0.347)
O (0.724, 0.096, 0.090)
O (0.748, 0.748, 0.933)
O (0.752, 0.752, 0.566)
O (0.775, 0.402, 0.408)
O (0.843, 0.480, 0.154)
O (0.904, 0.276, 0.910)
O (0.933, 0.933, 0.749)
O (0.980, 0.343, 0.653)

Largest 10 diffraction maxima, low angle first, 10° ≤ 2θ ≤ 90°:
Position (°2θ), I_rel
16.61, 45
28.93, 19
33.25, 36
33.49, 68
33.69, 100
47.77, 17
48.38, 34
59.43, 16
59.82, 16
60.00, 33



Diffraction record for Li2Cr3P4H4O16. The X-ray powder pattern is calculated, not measured: it uses the PBE+U geometry in the Materials Project and Cu Kα (weighted mean of Kα1 and Kα2).

Structural model:
Cell: 9.089 8.209 9.284 Å, 90.00 103.51 90.00°
Element x y z (fractional)
Li (0.016, 0.166, 0.478)
Li (0.016, 0.334, 0.978)
Li (0.984, 0.666, 0.022)
Li (0.984, 0.834, 0.522)
Cr (0.360, 0.648, 0.504)
-- stop --

(Entry room and living room that will be turned into a temporary bedroom.)
In case you missed, you can find the post about why we moved here. There is a lot of family history in this small town, and it has always felt like home to me since I spent many summers and weekends here growing up. There aren’t many homes that go up for sale since not many people move away, and there are many people who try to move back if they are from here. When we first considered moving here, we didn’t think we could find a place.

(Dining room and the laundry room. The laundry room used to be the original kitchen!)

(Family room)

(Primary bedroom and bathroom off the kitchen.)
When we were visiting family here we heard through the grapevine about a house that a couple wanted to sell, but wasn’t currently on the market. I knew exactly the house since it was behind my mom’s childhood home one street over….the one with the wrap around porch. Swoon. We gave them a call and asked if we could walk through the next time we came back in town. Since it was an old home we weren’t sure what kind of work would need to be done, and what kind of condition it was in.

(Future reading nook?)

(Bedroom 2)

When we walked through we were in awe. This couple had raised their kids here, and put a lot of time and effort to maintain and restore parts of the home. It is the 5th oldest home in the town, built in 1860. It’s currently a 4 bedroom, 5 bathroom home, and the style era it can be matched with closest is Italianate. The kitchen, basement, primary bedroom, and bathroom were added on in the 80s towards the back of the house. There are original stain glass windows, restored floors, and original brick in parts of the home. The yard also had the space we were looking for with big old trees and gardens (to Gabe’s delight). We immediately felt like this could be the place for us.

(Bedroom 3)

(Bedroom 4)
Of course the other big bonus was the location. It is a street over from my 97 yr old grandma’s house where my mom grew up in), which is still a central hub for family gatherings. This house is also next door to my sister, the same street as other family members and friends, a few blocks from the school, and a few blocks from the store, library, post office, etc.

(Daylight basement)
We took about 6 months afterwards of going back and forth about this move, and whether or not we should uproot again. It felt too hard and weighty of a decision most days. When we went through every pro and con of making this move, we knew deep down this was going to be where our family would thrive.

Walking out on the front porch feels a little surreal right now. It feels like we are just visiting for the summer! There is this undeniable weight lifted that we finally made it to the other side of a big move, and that we are in a place that already feels like home. Grateful to God for leading the way.

We told ourselves no projects for a while as we adjust, but it’s hard not to turn off the design wheels that are forever turning in my mind. We have a few immediate needs that we will have to get started on, and I will share more about that soon! For now I am just focusing on getting room situated and finding a place for things. It may take a year to fully unpack. No rush though…we will be here for the long haul.